Input:
- - -
A.
Density functional theory data (wB97M-V/def2-TZVPD) for an isolated molecule of C5H7FN2.

Output
M: 114.1 g/mol
HOMO (alpha / beta): -0.3133 / -0.3128 Eh

Last columns: bonded neighbours and bond lengths (Å).
CARTESIAN COORDINATES (ANGSTROEM)
1 C 2.020 -1.059 -0.374  C2 1.356, C3 1.389, H9 1.179
2 C 2.194 0.196 -0.857  C1 1.356, N6 1.212, H10 1.181
3 C 0.822 -1.267 0.298  C1 1.389, N7 1.311, H11 1.084
4 C -1.919 1.385 0.182  C5 1.583, H12 1.106, H13 1.134, H14 1.103
5 C -1.396 -0.057 0.578  C4 1.583, N7 1.420, F8 1.426, H15 1.124
6 N 1.391 1.102 -0.800  C2 1.212
7 N 0.003 -0.252 0.439  C3 1.311, C5 1.420
8 F -2.111 -0.958 -0.265  C5 1.426
9 H 2.804 -1.919 -0.563  C1 1.179
10 H 3.235 0.418 -1.367  C2 1.181
11 H 0.457 -2.129 0.844  C3 1.084
12 H -2.800 1.602 0.814  C4 1.106
13 H -1.002 2.037 0.325  C4 1.134
14 H -2.162 1.306 -0.891  C4 1.103
15 H -1.534 -0.404 1.638  C5 1.124

Calculated atomic charges, method natural (NBO), unit e: number 1, C, carries -0.40; number 2, C, carries -0.07; number 3, C, carries 0.07; number 4, C, carries -0.64; number 5, C, carries 0.33; number 6, N, carries -0.18; number 7, N, carries -0.32; number 8, F, carries -0.39; number 9, H, carries 0.23; number 10, H, carries 0.25; number 11, H, carries 0.22; number 12, H, carries 0.22; number 13, H, carries 0.25; number 14, H, carries 0.24; number 15, H, carries 0.18



B.
Density functional theory data (wB97M-V/def2-TZVPD) for a cluster of 2 separate species, C5H7FN2 in total.

Output
M: 114.1 g/mol
HOMO: -0.3022 Eh

Last columns: bonded neighbours and bond lengths (Å).
CARTESIAN COORDINATES (ANGSTROEM)
1 N -2.055 -1.126 -0.357  C2 1.376, H5 1.007, H6 1.011
2 C -2.428 0.154 -0.700  N1 1.376, C3 1.329, H7 1.080
3 C -1.612 1.191 -0.854  C2 1.329, F4 1.363, H8 1.074
4 F -0.278 1.097 -0.590  C3 1.363
5 H -2.762 -1.680 0.098  N1 1.007
6 H -1.141 -1.203 0.070  N1 1.011
7 H -3.471 0.299 -0.936  C2 1.080
8 H -1.898 2.167 -1.198  C3 1.074
9 C 2.876 0.670 0.416  C10 1.327, H13 1.076, H14 1.078
10 C 2.178 -0.451 0.281  C9 1.327, C11 1.408, H15 1.082
11 C 1.394 -0.976 1.326  C10 1.408, N12 1.147
12 N 0.717 -1.427 2.135  C11 1.147
13 H 3.454 1.080 -0.394  C9 1.076
14 H 2.882 1.219 1.344  C9 1.078
15 H 2.144 -1.014 -0.643  C10 1.082

Calculated atomic charges, method natural (NBO), unit e: number 1, N, carries -0.81; number 2, C, carries -0.08; number 3, C, carries 0.11; number 4, F, carries -0.36; number 5, H, carries 0.38; number 6, H, carries 0.39; number 7, H, carries 0.20; number 8, H, carries 0.17; number 9, C, carries -0.27; number 10, C, carries -0.33; number 11, C, carries 0.26; number 12, N, carries -0.32; number 13, H, carries 0.21; number 14, H, carries 0.21; number 15, H, carries 0.24



C.
Density functional theory data (wB97M-V/def2-TZVPD) for an isolated molecule of C5H7FN2.

Output
M: 114.1 g/mol
HOMO: -0.3630 Eh

Last columns: bonded neighbours and bond lengths (Å).
CARTESIAN COORDINATES (ANGSTROEM)
1 C 1.173 -0.412 1.102  C2 1.413, H9 1.108, H10 1.098, H11 1.226
2 C 0.065 -0.257 0.238  C1 1.413, C3 1.548, C7 1.512, N8 1.557
3 C 0.189 0.655 -1.006  C2 1.548, F4 1.387, C5 1.465, H12 1.075
4 F -0.867 0.408 -1.870  C3 1.387
5 C 0.450 2.092 -0.884  C3 1.465, N6 1.309
6 N 0.585 3.361 -1.174  C5 1.309
7 C -1.343 -0.694 0.571  C2 1.512, N8 1.524, H13 1.101, H14 1.045
8 N -0.546 -1.527 -0.426  C2 1.557, C7 1.524, H15 1.043
9 H 1.320 0.607 1.514  C1 1.108
10 H 2.078 -0.975 0.837  C1 1.098
11 H 0.835 -0.831 2.203  C1 1.226
12 H 0.926 0.027 -1.472  C3 1.075
13 H -2.047 -0.009 0.073  C7 1.101
14 H -1.621 -0.999 1.531  C7 1.045
15 H -1.197 -1.446 -1.236  N8 1.043
- - -

What to do:
It remains to transcribe the whole of the calculation results above without altering anything.

Response:
A.
Density functional theory data (wB97M-V/def2-TZVPD) for an isolated molecule of C5H7FN2.

Output
M: 114.1 g/mol
HOMO (alpha / beta): -0.3133 / -0.3128 Eh

Last columns: bonded neighbours and bond lengths (Å).
CARTESIAN COORDINATES (ANGSTROEM)
1 C 2.020 -1.059 -0.374  C2 1.356, C3 1.389, H9 1.179
2 C 2.194 0.196 -0.857  C1 1.356, N6 1.212, H10 1.181
3 C 0.822 -1.267 0.298  C1 1.389, N7 1.311, H11 1.084
4 C -1.919 1.385 0.182  C5 1.583, H12 1.106, H13 1.134, H14 1.103
5 C -1.396 -0.057 0.578  C4 1.583, N7 1.420, F8 1.426, H15 1.124
6 N 1.391 1.102 -0.800  C2 1.212
7 N 0.003 -0.252 0.439  C3 1.311, C5 1.420
8 F -2.111 -0.958 -0.265  C5 1.426
9 H 2.804 -1.919 -0.563  C1 1.179
10 H 3.235 0.418 -1.367  C2 1.181
11 H 0.457 -2.129 0.844  C3 1.084
12 H -2.800 1.602 0.814  C4 1.106
13 H -1.002 2.037 0.325  C4 1.134
14 H -2.162 1.306 -0.891  C4 1.103
15 H -1.534 -0.404 1.638  C5 1.124

Calculated atomic charges, method natural (NBO), unit e: number 1, C, carries -0.40; number 2, C, carries -0.07; number 3, C, carries 0.07; number 4, C, carries -0.64; number 5, C, carries 0.33; number 6, N, carries -0.18; number 7, N, carries -0.32; number 8, F, carries -0.39; number 9, H, carries 0.23; number 10, H, carries 0.25; number 11, H, carries 0.22; number 12, H, carries 0.22; number 13, H, carries 0.25; number 14, H, carries 0.24; number 15, H, carries 0.18



B.
Density functional theory data (wB97M-V/def2-TZVPD) for a cluster of 2 separate species, C5H7FN2 in total.

Output
M: 114.1 g/mol
HOMO: -0.3022 Eh

Last columns: bonded neighbours and bond lengths (Å).
CARTESIAN COORDINATES (ANGSTROEM)
1 N -2.055 -1.126 -0.357  C2 1.376, H5 1.007, H6 1.011
2 C -2.428 0.154 -0.700  N1 1.376, C3 1.329, H7 1.080
3 C -1.612 1.191 -0.854  C2 1.329, F4 1.363, H8 1.074
4 F -0.278 1.097 -0.590  C3 1.363
5 H -2.762 -1.680 0.098  N1 1.007
6 H -1.141 -1.203 0.070  N1 1.011
7 H -3.471 0.299 -0.936  C2 1.080
8 H -1.898 2.167 -1.198  C3 1.074
9 C 2.876 0.670 0.416  C10 1.327, H13 1.076, H14 1.078
10 C 2.178 -0.451 0.281  C9 1.327, C11 1.408, H15 1.082
11 C 1.394 -0.976 1.326  C10 1.408, N12 1.147
12 N 0.717 -1.427 2.135  C11 1.147
13 H 3.454 1.080 -0.394  C9 1.076
14 H 2.882 1.219 1.344  C9 1.078
15 H 2.144 -1.014 -0.643  C10 1.082

Calculated atomic charges, method natural (NBO), unit e: number 1, N, carries -0.81; number 2, C, carries -0.08; number 3, C, carries 0.11; number 4, F, carries -0.36; number 5, H, carries 0.38; number 6, H, carries 0.39; number 7, H, carries 0.20; number 8, H, carries 0.17; number 9, C, carries -0.27; number 10, C, carries -0.33; number 11, C, carries 0.26; number 12, N, carries -0.32; number 13, H, carries 0.21; number 14, H, carries 0.21; number 15, H, carries 0.24



C.
Density functional theory data (wB97M-V/def2-TZVPD) for an isolated molecule of C5H7FN2.

Output
M: 114.1 g/mol
HOMO: -0.3630 Eh

Last columns: bonded neighbours and bond lengths (Å).
CARTESIAN COORDINATES (ANGSTROEM)
1 C 1.173 -0.412 1.102  C2 1.413, H9 1.108, H10 1.098, H11 1.226
2 C 0.065 -0.257 0.238  C1 1.413, C3 1.548, C7 1.512, N8 1.557
3 C 0.189 0.655 -1.006  C2 1.548, F4 1.387, C5 1.465, H12 1.075
4 F -0.867 0.408 -1.870  C3 1.387
5 C 0.450 2.092 -0.884  C3 1.465, N6 1.309
6 N 0.585 3.361 -1.174  C5 1.309
7 C -1.343 -0.694 0.571  C2 1.512, N8 1.524, H13 1.101, H14 1.045
8 N -0.546 -1.527 -0.426  C2 1.557, C7 1.524, H15 1.043
9 H 1.320 0.607 1.514  C1 1.108
10 H 2.078 -0.975 0.837  C1 1.098
11 H 0.835 -0.831 2.203  C1 1.226
12 H 0.926 0.027 -1.472  C3 1.075
13 H -2.047 -0.009 0.073  C7 1.101
14 H -1.621 -0.999 1.531  C7 1.045
15 H -1.197 -1.446 -1.236  N8 1.043